Do you ever find yourself moving together with your peers when you perform or listen to music? The regular beat found in most music is a great stimulus for synchronous movements—we start to automatically move together by following it. Try clapping along to the following excerpts:
1. "Bryter Layter" by Nick Drake (low groove, 117 bpm)
2. "In the Mood" by the Glenn Miller Band (high groove, 166 bpm)
Now, if you have a preschool-aged friend around, have them try the same activity. How did they do? For adults, it is often easy for us to clap or dance to music of varying tempos, which we call "sensorimotor synchronization". However, the window of tempos to which preschoolers can move accurately is comparatively narrow and expands as they grow. Beat alignment abilities develop over time—to some degree, it occurs over our entire lifespan.
Previously, research on children’s sensorimotor synchronization required participants to visit unfamiliar lab settings to work with experimenters who asked them to drum or tap to different kinds of music. At the TEMPO Lab, we questioned whether it would be possible to study this topic by looking at spontaneous behaviours children exhibit like dancing (Kragness et al., 2022). Recently, we used a relatively unconstrained task to explore the influences of groove—how much a particular piece of music induces a desire to move (Madison, 2011)—on children’s development of sensorimotor synchronization. Young children (3-7 years old) were asked to freely dance in the comfort of their own homes to 4 musical excerpts rated as either low or high groove (Janata et al., 2012). Their parents video recorded their responses and sent us the videos for analysis. How do you think groovy music influenced children’s dancing? We found that on average, high groove music encouraged more dancing (and with more energy) from children. More importantly, groovy music also allowed children to dance better; in technical terms, the tempo of their movement better matched the music's tempo when they were listening to music with a groovy beat.
Excerpt | Groove rating | Tempo (bpm) |
"Bryter Layter" by Nick Drake | Low | 117 |
"Ray Dawn Balloon" by Trey | Low | 166 |
"Bad Tune" by Earth, Wind, and Fire | High | 122 |
"In the Mood" by the Glenn Miller Band | High | 166 |
While some children were great dancers, others had room to improve. We wondered whether the same kids who are good dancers also perform better at more traditional sensorimotor tasks, like drumming. Just about one year later, participants from the dance study were invited to be the drummer for our "TEMPO Band" in an experiment we called "the Marching Band Game". Their responsibility was to tap along to the steady beat (on their laptop frame, see image below) presented in the music that was being played so that the band could stay together. They were asked to synchronize their taps to the same four instrumental excerpts that they previously danced to, as well as to woodblock excerpts corresponding to the beat track of each excerpt. We expected that older children would be able to align to the beat more closely and that those who were good dancers would also be good tappers.

So far, we have analyzed a preliminary sample of 7 children to look for patterns in their beat alignment abilities. First, we asked: how aligned were their taps to the beat? We examined participants’ mean asynchrony which represents the location of their tap in time compared to the beat of the music. Asynchronies at 0 imply they are tapping on the beat. A negative asynchrony indicates they are anticipating the beat (tapping “ahead”), and a positive asynchrony indicates they are reacting to the beat (tapping “behind”). We observed the classic hallmark of human beat alignment: anticipation. The average mean asynchrony was negative, indicating that the participants, like adults in previous studies (Aschersleben, 2002; Wiltermuth and Heath, 2009), tended to anticipate the beat rather than react to it. Interestingly, correlations with age indicated that younger children tended to react to the beat (positive asynchrony) while older children, like adults, tended to anticipate the beat (negative asynchrony). Similarly, younger children’s tapping was less consistent than older children’s.

A comparison between music and woodblock trials showed that acoustic features appeared to influence tapping: children tapped closer to the beat and more consistently when tapping to the woodblock than the music. However, anticipation was more prominent in music trials than woodblock trials.

It’s important to note that these figures only represent the first few participants, and have not yet been evaluated statistically. Still, the results so far suggest that both age and acoustic information affect tapping ability. Once the full set of data has been collected, we will confirm the trends we have reported here. We will also examine effects of tempo and groove on children’s tapping ability, and finally, investigate whether “better dancers” in our lab's previous study are also better tappers.
A very promising feature of this study is that we were able to test children's sensorimotor synchronization in the comfort of their own homes using technologies that are found in most North American homes. On one hand, this made it more accessible for participants to complete the study. On the other hand, it led to uncontrolled circumstances that may have influenced our data. For example, we were unable to control for:
- Distractions in their testing environment
Here the page breaks off for data records =
/*
(1)
A 2-piece molecular cluster, CH4NO2S2 overall, computed with wB97M-V/def2-TZVPD.

Each line ends with the Löwdin charge.
Geometry (Å):
N1 -0.243 0.802 -2.339  0.091
C1 0.167 0.717 -0.988  -0.839
O1 -0.587 -0.004 -0.261  -0.150
O2 1.196 1.323 -0.658  -0.071
H1 -1.186 0.545 -2.541  0.053
H2 0.137 1.571 -2.851  0.055
S1 -0.082 -2.270 2.703  0.139
S2 1.090 -0.645 2.161  0.173
H3 -0.770 -1.703 3.709  -0.245
H4 0.276 -0.334 1.065  -0.206

multiplicity = 1
energy = -1042.20749 a.u.
ΔE to the lowest compared entry with this formula, charge and spin = 0.00 kJ/mol
E_HOMO = -0.1684 Ha
net charge = -1
LUMO = 3.3 eV


(2)
A 2-piece molecular cluster, CH4NO3 overall at a distorted geometry, computed with wB97M-V/def2-TZVPD.

Each line ends with the Löwdin charge.
Geometry (Å):
N1 -1.615 -0.405 -0.837  0.054
C1 -0.428 -0.726 0.007  -0.824
O1 0.667 -0.689 -0.615  -0.114
O2 -0.672 -1.180 1.132  -0.072
H1 -1.168 0.129 -1.584  0.042
H2 -2.169 0.312 -0.369  0.041
H3 1.409 0.715 0.100  -0.016
H4 1.936 0.647 1.474  0.013
O3 2.040 1.197 0.692  -0.126

multiplicity = 1
energy = -321.06753 a.u.
ΔE to the lowest compared entry with this formula, charge and spin = 24.15 kJ/mol
E_HOMO = -0.1672 Ha
net charge = -1
LUMO = 4.4 eV


(3)
A 2-piece molecular cluster, CH4NO3 overall at a distorted geometry, computed with wB97M-V/def2-TZVPD.

Each line ends with the Löwdin spin population.
Geometry (Å):
N1 1.836 -0.746 0.044  0.030
C1 0.732 0.111 0.028  0.039
O1 0.167 0.391 -1.018  0.140
O2 0.309 0.367 1.215  0.783
H1 1.783 -1.451 0.771  0.001
H2 2.026 -1.146 -0.869  0.008
H3 -2.567 -0.054 0.649  0.000
H4 -1.590 0.234 -0.484  -0.001
O3 -2.548 0.089 -0.300  0.000

multiplicity = 2
energy = -320.92044 a.u.
ΔE to the lowest compared entry with this formula, charge and spin = 22.27 kJ/mol
E_HOMO (alpha / beta) = -0.4000 / -0.3996 Ha
LUMO (alpha / beta) = 0.4 / -4.0 eV


(4)
An isolated ion of composition CH4NO3 and charge +1 at a distorted geometry, computed with wB97M-V/def2-TZVPD.

Each line ends with the Löwdin charge.
Geometry (Å):
N1 0.508 0.267 0.886  0.303
C1 -0.475 -0.034 -0.118  -0.533
O1 0.543 0.240 -1.482  -0.009
O2 -1.754 0.308 -0.177  0.239
O3 -1.261 -1.094 -0.120  0.213
H1 0.238 0.581 1.840  0.217
H2 1.133 0.846 0.202  0.227
H3 0.934 -0.688 1.066  0.224
H4 0.135 -0.427 -2.098  0.118

multiplicity = 1
energy = -320.50916 a.u.
ΔE to the lowest compared entry with this formula, charge and spin = 246.84 kJ/mol
E_HOMO = -0.6261 Ha
net charge = +1
SMILES = [NH3+]C1(O)OO1
LUMO = -5.0 eV


(5)
CH4NO3P as an isolated structure at a distorted geometry, computed with wB97M-V/def2-TZVPD.

Each line ends with the Löwdin charge.
Geometry (Å):
C1 1.280 1.172 -0.005  -0.047
N1 -0.869 -1.663 0.036  -0.031
O1 -2.044 0.555 0.574  -0.298
O2 -0.179 0.573 -1.342  -0.278
O3 0.820 0.303 0.829  -0.164
P1 -0.838 -0.028 -0.124  0.436
H1 2.101 1.047 -0.687  0.096
H2 1.133 2.317 0.153  0.145
H3 -0.216 -2.288 -0.385  0.060
H4 -1.189 -1.987 0.951  0.081

multiplicity = 1
energy = -662.34781 a.u.
*/
- Families’ hardware and browser capabilities
- Children’s ability to follow instructions and maintain attention
Nevertheless, the children seemed to enjoy the task, the gamified aspects of the experiment and were proud of their contributions towards the scientific field.
Despite those limitations, the at home method to studying beat alignment is still effective at revealing age and stimuli evoked differences. Future work can build on this method to answer more questions related to children’s sensorimotor abilities. For example, how do socio-cultural differences, music and dance training, musical emotions, acoustic features, or tempo influence children's beat synchronization? Our hope is that this gamified home experiment method will enable more opportunities to conduct experiments exploring the unknowns of beat synchronization development in humans.
Catherine Tan is an undergraduate student majoring in Music Education and minoring in Psychology at the University of Toronto. Upon her anticipated graduation in 2023, she hopes to continue to explore her interests in education, music cognition and musics’ influence on wellbeing. Beyond her studies, she enjoys performing and teaching music, baking and traveling.
Catherine recently won first place in the Faculty of Music Undergraduate Research Showcase (FOMURS 2022) for her poster entitled "The beat goes on: children’s sensorimotor synchronization to music in a home paradigm" (see herCongratulations to everyone who participated in the Showcase and stay tuned for future blog posts from other participants!
Aschersleben. (2002). Temporal Control of Movements in Sensorimotor Synchronization. Brain and Cognition, 48(1), 66–79.
Einarson, K. M. (2016) Beat perception and synchronization abilities in young children [Thesis]. McMaster University.
Janata, P., Tomic, S. T., & Haberman, J. M. (2012). Sensorimotor Coupling in Music and the Psychology of the Groove. Journal of Experimental Psychology. General, 141(1), 54–75.
Kragness, H. E., Anderson, L., Chow, E., Schmuckler, M., & Cirelli, L. K. (2022). Effects of groove on children’s motor responses. Developmental Science. Advance online publication.
Madison, G., Gouyon, F., Ullén, F., & Hörnström, K. (2011). Modeling the tendency for music to induce movement in humans: first correlations with low-level audio descriptors across music genres. Journal of Experimental Psychology: Human Perception and Performance, 37(5), 1578.
Wiltermuth, & Heath, C. (2009). Synchrony and Cooperation. Psychological Science, 20(1), 1–5.
Thank you Dr. Haley E. Kragness and Dr. Laura K. Cirelli of the University of Toronto Department of Psychology, University of Toronto Scarborough (UTSC) for providing supervisory and logistical support and funding. Thank you Areeba Qureshi (Department of Psychology, UTSC) for providing technological assistance.